Request
Return everything underneath verbatim.
Source
/*
No. 1
{"formula": "H20O10", "method": "wB97M-V/def2-TZVPD", "symbols": ["O", "H", "H", "O", "H", "H", "O", "H", "H", "O", "H", "H", "O", "H", "H", "O", "H", "H", "O", "H", "H", "O", "H", "H", "O", "H", "H", "O", "H", "H"], "xyz": [[0.180, 2.401, 0.422], [0.744, 2.147, -0.196], [-0.584, 1.747, 0.531], [-1.885, -2.357, 1.020], [-1.955, -2.769, 1.996], [-2.576, -1.781, 0.889], [2.057, 1.929, -1.463], [1.977, 2.772, -1.809], [2.895, 1.579, -1.565], [-0.993, 0.185, 2.906], [-0.027, 0.562, 2.616], [-1.170, 0.682, 3.666], [-2.219, 0.951, 0.658], [-1.826, 0.717, 1.476], [-3.160, 1.124, 0.965], [0.418, -0.496, -0.019], [-0.305, -0.726, 0.632], [-0.061, 0.030, -0.828], [0.534, 0.091, -4.276], [0.215, 0.339, -3.486], [-0.234, -0.239, -4.438], [-1.499, 0.480, -2.037], [-2.042, -0.383, -2.239], [-1.509, 0.820, -1.145], [3.183, 0.200, 1.382], [2.537, 0.298, 0.669], [2.619, 0.071, 2.162], [1.952, -3.574, 0.543], [1.559, -2.807, 0.716], [1.177, -4.005, 0.248]], "mulliken_charge": [-0.63, 0.42, 0.33, -0.61, 0.34, 0.28, -0.59, 0.25, 0.26, -0.67, 0.35, 0.29, -0.68, 0.30, 0.33, -0.48, 0.36, 0.17, -0.54, 0.30, 0.26, -0.65, 0.33, 0.30, -0.64, 0.33, 0.30, -0.60, 0.28, 0.31], "smiles": "O.O.O.O.O.O.O.O.O.O", "de_lowest_ev": 5.6235, "orbital_gap_ev": 10.431, "charge": 0, "spin_multiplicity": 1, "e_tot_ha": -764.275259, "e_lumo_ev": -0.37, "e_homo_ev": -10.8}

---

No. 2
{"formula": "C14H25F9N2O7S", "method": "wB97M-V/def2-TZVPD", "symbols": ["C", "O", "C", "C", "C", "C", "C", "C", "C", "C", "C", "F", "F", "C", "F", "F", "S", "F", "F", "F", "F", "F", "O", "C", "O", "H", "H", "H", "H", "H", "H", "H", "H", "H", "H", "H", "H", "H", "H", "H", "H", "H", "H", "H", "C", "N", "O", "O", "H", "H", "H", "C", "N", "O", "O", "H", "H", "H"], "xyz": [[-4.369, 0.526, -2.924], [-3.037, -0.017, -2.744], [-2.044, 1.051, -2.743], [-0.971, 0.695, -1.611], [0.031, -0.493, -2.009], [1.168, -0.563, -0.870], [1.827, -2.011, -0.690], [0.957, -3.012, 0.231], [1.762, -3.473, 1.569], [1.304, -2.596, 2.855], [2.090, -3.056, 4.204], [3.115, -3.925, 3.743], [1.089, -3.745, 4.961], [2.609, -1.724, 4.887], [1.450, -0.957, 5.203], [3.365, -0.901, 4.009], [3.598, -1.886, 6.458], [4.988, -2.149, 5.531], [3.960, -0.241, 6.352], [2.251, -1.595, 7.392], [3.445, -3.529, 6.558], [4.509, -1.938, 7.846], [-0.371, -2.501, 0.528], [-1.270, -3.560, 0.811], [-2.361, -3.331, 1.344], [-4.370, 1.410, -3.654], [-4.835, 0.821, -1.916], [-5.016, -0.293, -3.409], [-2.546, 2.025, -2.457], [-1.529, 1.153, -3.762], [-1.489, 0.402, -0.632], [-0.361, 1.643, -1.394], [0.563, -0.289, -3.001], [-0.499, -1.496, -2.085], [0.759, -0.190, 0.126], [1.991, 0.168, -1.208], [2.856, -1.851, -0.218], [1.991, -2.511, -1.709], [0.813, -3.962, -0.405], [1.482, -4.571, 1.736], [2.861, -3.346, 1.319], [1.362, -1.478, 2.671], [0.184, -2.834, 2.976], [-0.957, -4.630, 0.572], [-2.202, 4.737, -5.269], [-2.616, 3.416, -4.732], [-3.485, 3.412, -3.880], [-2.048, 2.437, -5.193], [-2.783, 5.514, -4.776], [-1.139, 4.858, -5.060], [-2.396, 4.731, -6.341], [-0.932, 5.722, -1.185], [-0.663, 4.289, -1.477], [-1.627, 3.557, -1.633], [0.506, 3.951, -1.540], [-2.008, 5.878, -1.158], [-0.485, 5.949, -0.218], [-0.476, 6.311, -1.979]], "mulliken_charge": [-0.53, -0.38, -0.16, -0.32, -0.54, -0.61, -0.91, 0.16, -0.75, -0.89, 1.24, -0.29, -0.29, 0.54, -0.27, -0.25, 1.12, -0.30, -0.31, -0.28, -0.28, -0.28, -0.28, 0.15, -0.51, 0.16, 0.23, 0.27, 0.28, 0.27, 0.17, 0.09, 0.37, 0.19, 0.30, 0.46, 0.32, 0.29, 0.49, 0.32, 0.31, 0.24, 0.26, 0.35, -0.83, 0.98, -0.50, -0.55, 0.31, 0.31, 0.28, -0.82, 0.82, -0.51, -0.52, 0.33, 0.30, 0.29], "smiles": "COCCCCC[C@@H](CCC(F)(F)C(F)(F)S(F)(F)(F)(F)F)OC=O.C[N+](=O)[O-].C[N+](=O)[O-]", "orbital_gap_ev": 7.699, "charge": 0, "spin_multiplicity": 1, "e_tot_ha": -2481.198246, "e_lumo_ev": -1.03, "e_homo_ev": -8.7}

---

No. 3
*/
Worked solution
No. 1
{"formula": "H20O10", "method": "wB97M-V/def2-TZVPD", "symbols": ["O", "H", "H", "O", "H", "H", "O", "H", "H", "O", "H", "H", "O", "H", "H", "O", "H", "H", "O", "H", "H", "O", "H", "H", "O", "H", "H", "O", "H", "H"], "xyz": [[0.180, 2.401, 0.422], [0.744, 2.147, -0.196], [-0.584, 1.747, 0.531], [-1.885, -2.357, 1.020], [-1.955, -2.769, 1.996], [-2.576, -1.781, 0.889], [2.057, 1.929, -1.463], [1.977, 2.772, -1.809], [2.895, 1.579, -1.565], [-0.993, 0.185, 2.906], [-0.027, 0.562, 2.616], [-1.170, 0.682, 3.666], [-2.219, 0.951, 0.658], [-1.826, 0.717, 1.476], [-3.160, 1.124, 0.965], [0.418, -0.496, -0.019], [-0.305, -0.726, 0.632], [-0.061, 0.030, -0.828], [0.534, 0.091, -4.276], [0.215, 0.339, -3.486], [-0.234, -0.239, -4.438], [-1.499, 0.480, -2.037], [-2.042, -0.383, -2.239], [-1.509, 0.820, -1.145], [3.183, 0.200, 1.382], [2.537, 0.298, 0.669], [2.619, 0.071, 2.162], [1.952, -3.574, 0.543], [1.559, -2.807, 0.716], [1.177, -4.005, 0.248]], "mulliken_charge": [-0.63, 0.42, 0.33, -0.61, 0.34, 0.28, -0.59, 0.25, 0.26, -0.67, 0.35, 0.29, -0.68, 0.30, 0.33, -0.48, 0.36, 0.17, -0.54, 0.30, 0.26, -0.65, 0.33, 0.30, -0.64, 0.33, 0.30, -0.60, 0.28, 0.31], "smiles": "O.O.O.O.O.O.O.O.O.O", "de_lowest_ev": 5.6235, "orbital_gap_ev": 10.431, "charge": 0, "spin_multiplicity": 1, "e_tot_ha": -764.275259, "e_lumo_ev": -0.37, "e_homo_ev": -10.8}

---

No. 2
{"formula": "C14H25F9N2O7S", "method": "wB97M-V/def2-TZVPD", "symbols": ["C", "O", "C", "C", "C", "C", "C", "C", "C", "C", "C", "F", "F", "C", "F", "F", "S", "F", "F", "F", "F", "F", "O", "C", "O", "H", "H", "H", "H", "H", "H", "H", "H", "H", "H", "H", "H", "H", "H", "H", "H", "H", "H", "H", "C", "N", "O", "O", "H", "H", "H", "C", "N", "O", "O", "H", "H", "H"], "xyz": [[-4.369, 0.526, -2.924], [-3.037, -0.017, -2.744], [-2.044, 1.051, -2.743], [-0.971, 0.695, -1.611], [0.031, -0.493, -2.009], [1.168, -0.563, -0.870], [1.827, -2.011, -0.690], [0.957, -3.012, 0.231], [1.762, -3.473, 1.569], [1.304, -2.596, 2.855], [2.090, -3.056, 4.204], [3.115, -3.925, 3.743], [1.089, -3.745, 4.961], [2.609, -1.724, 4.887], [1.450, -0.957, 5.203], [3.365, -0.901, 4.009], [3.598, -1.886, 6.458], [4.988, -2.149, 5.531], [3.960, -0.241, 6.352], [2.251, -1.595, 7.392], [3.445, -3.529, 6.558], [4.509, -1.938, 7.846], [-0.371, -2.501, 0.528], [-1.270, -3.560, 0.811], [-2.361, -3.331, 1.344], [-4.370, 1.410, -3.654], [-4.835, 0.821, -1.916], [-5.016, -0.293, -3.409], [-2.546, 2.025, -2.457], [-1.529, 1.153, -3.762], [-1.489, 0.402, -0.632], [-0.361, 1.643, -1.394], [0.563, -0.289, -3.001], [-0.499, -1.496, -2.085], [0.759, -0.190, 0.126], [1.991, 0.168, -1.208], [2.856, -1.851, -0.218], [1.991, -2.511, -1.709], [0.813, -3.962, -0.405], [1.482, -4.571, 1.736], [2.861, -3.346, 1.319], [1.362, -1.478, 2.671], [0.184, -2.834, 2.976], [-0.957, -4.630, 0.572], [-2.202, 4.737, -5.269], [-2.616, 3.416, -4.732], [-3.485, 3.412, -3.880], [-2.048, 2.437, -5.193], [-2.783, 5.514, -4.776], [-1.139, 4.858, -5.060], [-2.396, 4.731, -6.341], [-0.932, 5.722, -1.185], [-0.663, 4.289, -1.477], [-1.627, 3.557, -1.633], [0.506, 3.951, -1.540], [-2.008, 5.878, -1.158], [-0.485, 5.949, -0.218], [-0.476, 6.311, -1.979]], "mulliken_charge": [-0.53, -0.38, -0.16, -0.32, -0.54, -0.61, -0.91, 0.16, -0.75, -0.89, 1.24, -0.29, -0.29, 0.54, -0.27, -0.25, 1.12, -0.30, -0.31, -0.28, -0.28, -0.28, -0.28, 0.15, -0.51, 0.16, 0.23, 0.27, 0.28, 0.27, 0.17, 0.09, 0.37, 0.19, 0.30, 0.46, 0.32, 0.29, 0.49, 0.32, 0.31, 0.24, 0.26, 0.35, -0.83, 0.98, -0.50, -0.55, 0.31, 0.31, 0.28, -0.82, 0.82, -0.51, -0.52, 0.33, 0.30, 0.29], "smiles": "COCCCCC[C@@H](CCC(F)(F)C(F)(F)S(F)(F)(F)(F)F)OC=O.C[N+](=O)[O-].C[N+](=O)[O-]", "orbital_gap_ev": 7.699, "charge": 0, "spin_multiplicity": 1, "e_tot_ha": -2481.198246, "e_lumo_ev": -1.03, "e_homo_ev": -8.7}

---

No. 3